**Request**
Could you say how many lines of the notes further below hold the word "diffraction", as a bare number?

**Entries**
(1)
The following is a computed powder X-ray diffraction pattern of SrScCoHg2. It was derived from DFT lattice parameters and positions (PBE), using a wavelength of 1.5418 Å.
Intensities are scaled so that the largest is 100.

Largest 10 diffraction maxima, by angle, 2θ from 10° to 90°:
14.42°, rel. 78; 26.14°, rel. 100; 29.08°, rel. 39; 30.86°, rel. 67; 34.22°, rel. 42; 42.91°, rel. 54; 44.21°, rel. 30; 49.78°, rel. 22; 52.08°, rel. 31; 53.78°, rel. 28

Lattice parameters (Å, degrees): 5.795 5.795 6.142 90.00 90.00 90.00
Fractional coordinates of all 5 atoms:
Sr 0.000 0.000 0.000
Sc 0.000 0.000 0.500
Co 0.500 0.500 0.500
Hg 0.000 0.500 0.000
Hg 0.500 0.000 0.000

=====

(2)
The following is a computed powder X-ray diffraction pattern of Na5Tl5Ga2. It was derived from DFT lattice parameters and positions (PBE), using a wavelength of 1.5418 Å.
Intensities are scaled so that the largest is 100.

Largest 10 diffraction maxima, by angle, 2θ from 10° to 90°:
21.34°, rel. 43; 22.31°, rel. 27; 24.74°, rel. 32; 26.15°, rel. 27; 34.09°, rel. 100; 34.54°, rel. 52; 47.95°, rel. 29; 49.31°, rel. 19; 61.02°, rel. 19; 61.31°, rel. 20

Lattice parameters (Å, degrees): 14.028 14.028 14.028 21.61 21.61 21.61
Fractional coordinates of all 12 atoms:
Na 0.000 0.000 0.000
Na 0.194 0.194 0.194
Na 0.275 0.275 0.275
Na 0.725 0.725 0.725
Na 0.806 0.806 0.806
Tl 0.103 0.103 0.103
Tl 0.355 0.355 0.355
Tl 0.500 0.500 0.500
Tl 0.645 0.645 0.645
Tl 0.897 0.897 0.897
Ga 0.425 0.425 0.425
Ga 0.575 0.575 0.575

=====

(3)
The following is a computed powder X-ray diffraction pattern of BaNdAs2Pd2. It was derived from DFT lattice parameters and positions (PBE), using a wavelength of 1.5418 Å.
Intensities are scaled so that the largest is 100.

Largest 10 diffraction maxima, by angle, 2θ from 10° to 90°:
10.14°, rel. 6; 31.22°, rel. 100; 41.15°, rel. 48; 41.39°, rel. 12; 52.54°, rel. 23; 59.79°, rel. 25; 68.82°, rel. 24; 69.17°, rel. 7; 75.00°, rel. 8; 89.48°, rel. 8

Lattice parameters (Å, degrees): 4.387 4.387 8.726 90.00 90.00 120.00
Fractional coordinates of all 6 atoms:
Ba 0.000 0.000 0.000
Nd 0.000 0.000 0.500
As 0.333 0.667 0.277
As 0.667 0.333 0.723
Pd 0.333 0.667 0.725
Pd 0.667 0.333 0.275

----------

(1)
Structure and calculated XRD peak list of K2SmAuCl6 (a PBE-relaxed structure; Cu Kα X-rays).
Peak positions follow from Bragg's law for the DFT cell and can differ from measured ones.

Crystal structure
Lattice parameters (Å, degrees): 10.8471 10.8471 10.8471 90.00 90.00 90.00
Space group Fm-3m (No. 225)
Asymmetric unit:
K  0.2500  0.2500  0.2500 x8
Sm  0.0000  0.0000  0.0000 x4
Au  0.0000  0.0000  0.5000 x4
Cl  0.0000  0.0000  0.2476 x24

Top 10 peaks for 10 to 80 degrees two-theta, low angle first:
| d (Å) | Position (°2θ) | I_rel | (hkl) |
| --- | --- | --- | --- |
| 5.424 | 16.34 | 100 | 2 0 0 |
| 3.835 | 23.19 | 98 | 2 2 0 |
| 2.712 | 33.03 | 66 | 4 0 0 |
| 2.425 | 37.07 | 53 | 4 2 0 |
| 2.214 | 40.75 | 46 | 4 2 2 |
| 1.918 | 47.41 | 45 | 4 4 0 |
| 1.808 | 50.48 | 28 | 6 0 0 |
| 1.715 | 53.42 | 21 | 6 2 0 |
| 1.449 | 64.26 | 24 | 6 4 2 |
| 1.213 | 78.94 | 19 | 8 4 0 |

(2)
Structure and calculated XRD peak list of Y2ZnHg (a PBE-relaxed structure; Cu Kα X-rays).
Peak positions follow from Bragg's law for the DFT cell and can differ from measured ones.

Crystal structure
Lattice parameters (Å, degrees): 7.3400 7.3400 7.3400 90.00 90.00 90.00
Space group Fm-3m (No. 225)
Asymmetric unit:
Y  0.2500  0.2500  0.2500 x8
Zn  0.0000  0.0000  0.0000 x4
Hg  0.0000  0.0000  0.5000 x4

Top 10 peaks for 10 to 80 degrees two-theta, low angle first:
| d (Å) | Position (°2θ) | I_rel | (hkl) |
| --- | --- | --- | --- |
| 4.238 | 20.96 | 18 | 1 1 1 |
| 3.670 | 24.25 | 4 | 2 0 0 |
| 2.595 | 34.56 | 100 | 2 2 0 |
| 2.213 | 40.77 | 10 | 3 1 1 |
| 1.835 | 49.68 | 18 | 4 0 0 |
| 1.684 | 54.49 | 5 | 3 3 1 |
| 1.498 | 61.93 | 36 | 4 2 2 |
| 1.413 | 66.15 | 4 | 5 1 1 |
| 1.298 | 72.90 | 11 | 4 4 0 |
| 1.241 | 76.83 | 4 | 5 3 1 |

(3)

**Solution**
6